Given:
┌──
The following is a DFT calculation (ωB97M-V/def2-TZVPD) of a cluster of 40 separate species, H80O40 in total at a distorted geometry.

Geometry as XYZ:
```
120
H80O40 (ωB97M-V/def2-TZVPD)
H -2.105 0.339 0.669
H -1.724 -1.044 -0.125
O -2.454 -0.341 0.008
H -5.452 -2.083 1.701
H -4.110 -2.132 1.251
O -4.932 -1.731 0.929
H -1.225 -1.079 -2.754
H -0.949 -0.446 -1.403
O -0.497 -0.796 -2.204
H 2.267 4.736 -1.301
H 2.945 3.724 -0.323
O 2.861 3.961 -1.255
H -1.663 -0.933 4.563
H -1.678 0.479 4.378
O -1.770 -0.107 5.118
H 1.986 -4.391 -3.140
O 2.454 -4.758 -2.367
H 1.262 2.104 3.254
O 1.661 2.881 3.636
H 0.718 0.750 -5.262
H 1.792 -0.012 -6.313
O 0.993 -0.067 -5.728
H 5.972 -2.529 0.057
H 5.050 -3.182 -0.795
O 5.428 -3.297 0.086
H -1.799 -0.052 -4.709
H -1.019 -1.009 -5.674
O -1.847 -0.544 -5.536
H -4.059 1.659 -0.466
H -4.406 0.905 0.863
O -4.320 1.760 0.425
H 0.250 2.321 0.261
O -0.246 3.022 -0.201
H 1.890 -1.096 -3.967
H 1.007 -2.207 -3.304
O 1.828 -2.037 -3.718
H -5.576 1.418 -2.374
H -4.685 0.306 -2.611
O -5.370 0.788 -3.067
H 0.198 -3.596 2.495
H 1.441 -3.341 1.503
O 0.791 -2.956 2.110
H 4.776 -0.856 -3.010
H 6.177 -0.725 -2.566
O 5.342 -1.037 -2.248
H 2.609 2.341 -2.333
H 1.711 2.038 -3.807
O 2.093 1.705 -2.916
H 2.205 -1.005 4.533
H 1.017 -1.998 3.860
O 1.790 -1.878 4.389
H 1.607 4.831 1.559
O 0.681 4.912 1.412
H -1.052 -2.022 2.795
H -0.305 -0.847 2.385
O -1.186 -1.084 2.617
H 3.381 -4.363 3.202
O 4.160 -4.205 2.657
H 1.141 -0.616 -0.882
H 1.344 0.661 -1.619
O 1.143 0.305 -0.702
H -1.454 -4.695 -0.163
H -1.064 -5.907 0.339
O -1.702 -5.231 0.604
H 0.152 -4.959 -4.460
H -0.065 -4.012 -3.129
O -0.140 -4.862 -3.541
H 1.354 4.004 -3.372
H 0.608 3.514 -4.675
O 1.471 3.729 -4.278
H -1.237 2.043 -6.174
H -1.749 2.638 -4.720
O -1.073 2.229 -5.250
H -4.037 0.337 4.499
H -5.358 -0.206 4.682
O -4.569 -0.407 4.219
H -1.077 -2.421 -0.633
H 0.182 -2.878 -1.296
O -0.626 -3.215 -0.907
H -0.909 5.495 -0.646
H -1.404 4.409 -1.357
O -0.675 5.065 -1.511
H -3.977 5.101 -2.049
H -2.567 4.970 -2.094
O -3.366 4.669 -2.691
H 4.664 2.199 1.224
H 3.128 1.821 1.280
O 4.016 1.611 1.610
H 4.199 -0.031 2.704
O 4.510 0.201 3.647
H -4.745 4.583 2.028
H -5.204 3.301 1.166
O -5.374 4.271 1.346
H 0.265 4.073 1.182
H 2.105 -5.611 -2.551
H 4.030 -3.570 1.952
H 2.541 3.090 3.302
H -0.111 3.095 -1.195
H 3.934 0.960 3.849
O 3.176 -5.464 0.355
H 4.004 -5.552 0.861
H 3.667 -5.429 -0.488
O -2.150 4.015 2.110
H -2.174 3.341 2.771
H -1.259 4.061 1.738
O 2.228 -2.661 -0.442
H 2.812 -3.091 0.184
H 2.274 -3.178 -1.268
O -1.510 -4.231 2.921
H -1.762 -4.845 3.586
H -1.064 -4.706 2.208
O -2.742 0.854 2.689
H -3.563 1.209 2.274
H -3.128 -0.035 2.407
O -0.363 1.381 2.450
H -1.249 1.758 2.314
H -0.608 0.600 2.923
O -0.547 3.585 4.667
H -0.592 3.680 3.737
H 0.326 3.762 5.031
```

Summary:
Relative energy (zero: lowest compared OMol25 entry of this formula, charge and spin): 251.4 kcal per mole
Electronic energy: -83194.91517 eV
└──

Job:
Repeat only the lines further up with the word "separate" in them.

Result:
The following is a DFT calculation (ωB97M-V/def2-TZVPD) of a cluster of 40 separate species, H80O40 in total at a distorted geometry.